**To do:**
The reader should set down the whole of the contents underneath exactly.

**Data:**
____________
Density functional theory data (GGA+U) for a relaxed structure of Li7V4O11F.

Total magnetic moment (μB/f.u.): 4.00
Formation energy from the elements (meV/atom): -2512
E_tot (eV/cell): -149.00
Space-group type: P1
Energy above the most stable polymorph in this dataset (eV per formula unit): 0.00

Lattice parameters (Å, degrees): 5.035 5.133 9.845 84.58 78.90 60.95
Fractional coordinates of all 23 atoms:
Li: 0.000 0.000 0.000
Li: 0.065 0.336 0.754
Li: 0.225 0.025 0.253
Li: 0.431 0.657 0.742
Li: 0.605 0.321 0.246
Li: 0.747 0.022 0.749
Li: 0.924 0.663 0.249
V: 0.141 0.666 0.504
V: 0.336 0.327 0.000
V: 0.494 0.034 0.507
V: 0.659 0.681 0.001
O: 0.023 0.648 0.889
O: 0.180 0.951 0.604
O: 0.242 0.354 0.386
O: 0.329 0.646 0.112
O: 0.389 0.003 0.888
O: 0.417 0.339 0.620
O: 0.604 0.005 0.114
O: 0.672 0.354 0.884
O: 0.787 0.715 0.621
O: 0.862 0.965 0.383
O: 0.973 0.354 0.117
F: 0.514 0.704 0.369

* * * * *

Density functional theory data (PBE-GGA) for crystalline HfGeRh at its relaxed geometry. Values from VASP.

Quantum ESPRESSO input file:
```
&SYSTEM
  ibrav = 0, nat = 12, ntyp = 3
/
ATOMIC_SPECIES
Hf 178.49 Hf.upf
Ge 72.64 Ge.upf
Rh 102.91 Rh.upf
CELL_PARAMETERS angstrom
4.0102 0.0000 0.0000
0.0000 6.5522 0.0000
0.0000 0.0000 7.5892
ATOMIC_POSITIONS crystal
Hf 0.2500 0.0217 0.3134
Hf 0.2500 0.5217 0.1866
Hf 0.7500 0.9783 0.6866
Hf 0.7500 0.4783 0.8134
Ge 0.2500 0.2678 0.6188
Ge 0.2500 0.7678 0.8812
Ge 0.7500 0.7322 0.3812
Ge 0.7500 0.2322 0.1188
Rh 0.2500 0.1517 0.9357
Rh 0.2500 0.6517 0.5643
Rh 0.7500 0.8483 0.0643
Rh 0.7500 0.3483 0.4357
```

Properties
The volume comes out at 16.618 A^3/atom. As for the energy of formation from the pure elements: -0.88 eV per atom. Its crystal system is orthorhombic. Its space-group type is Pnma, No. 62. Its total energy is -8.1946 eV/atom.

* * * * *

(1)
A relaxed structure of DyInCu, computed with PBE.

a = 3.9091 Å, b = 7.4985 Å, c = 7.4985 Å
α = 120.00°, β = 90.00°, γ = 90.00°
Positions (direct):
Dy: 0.5000 0.0000 0.5895
Dy: 0.5000 0.5895 0.0000
Dy: 0.5000 0.4105 0.4105
In: 0.0000 0.0000 0.2533
In: 0.0000 0.2533 0.0000
In: 0.0000 0.7467 0.7467
Cu: 0.5000 0.0000 0.0000
Cu: 0.0000 0.3333 0.6667
Cu: 0.0000 0.6667 0.3333

Properties
E in eV per cell: -38.1
DFT formation energy in eV per atom: -0.414
Space-group type: No. 189

=====

(2)
A relaxed structure of Rb2ThF6, computed with PBE.

a = 6.9621 Å, b = 6.9621 Å, c = 3.8778 Å
α = 90.00°, β = 90.00°, γ = 120.00°
Positions (direct):
Rb: 0.3333 0.6667 0.5000
Rb: 0.6667 0.3333 0.5000
Th: 0.0000 0.0000 0.0000
F: 0.0000 0.2188 0.5000
F: 0.7812 0.7812 0.5000
F: 0.2188 0.0000 0.5000
F: 0.6698 0.0000 0.0000
F: 0.3302 0.3302 0.0000
F: 0.0000 0.6698 0.0000

Properties
Maximum piezoelectric response in C/m2: 0.3
E in eV per cell: -53.0
DFT formation energy in eV per atom: -3.880
Space-group type: No. 189

=====

(3)
A relaxed structure of Bi12PbO20, computed with PBE.

a = 9.0325 Å, b = 9.0325 Å, c = 9.0325 Å
α = 109.47°, β = 109.47°, γ = 109.47°
Positions (direct):
Bi: 0.8354 0.3333 0.1412
Bi: 0.8079 0.6667 0.5021
Bi: 0.1921 0.6942 0.8588
Bi: 0.5021 0.8079 0.6667
Bi: 0.8588 0.1921 0.6942
Bi: 0.6667 0.5021 0.8079
Bi: 0.3333 0.1412 0.8354
Bi: 0.6942 0.8588 0.1921
Bi: 0.3058 0.4979 0.1646
Bi: 0.1412 0.8354 0.3333
Bi: 0.1646 0.3058 0.4979
Bi: 0.4979 0.1646 0.3058
Pb: 0.0000 0.0000 0.0000
O: 0.3786 0.2642 0.6234
O: 0.3592 0.7358 0.1145
O: 0.0000 0.0000 0.7664
O: 0.7664 0.0000 0.0000
O: 0.7553 0.3766 0.6408
O: 0.6234 0.3786 0.2642
O: 0.3766 0.6408 0.7553
O: 0.6214 0.2447 0.8855
O: 0.3649 0.0000 0.0000
O: 0.1145 0.3592 0.7358
O: 0.8855 0.6214 0.2447
O: 0.2642 0.6234 0.3786
O: 0.0000 0.3649 0.0000
O: 0.0000 0.7664 0.0000
O: 0.2447 0.8855 0.6214
O: 0.2336 0.2336 0.2336
O: 0.0000 0.0000 0.3649
O: 0.6351 0.6351 0.6351
O: 0.6408 0.7553 0.3766
O: 0.7358 0.1145 0.3592

Properties
E in eV per cell: -188.2
DFT formation energy in eV per atom: -1.595
Space-group type: No. 197

=====

(4)
A relaxed structure of Sn3P4O14, computed with PBE.
____________

**Response:**
Density functional theory data (GGA+U) for a relaxed structure of Li7V4O11F.

Total magnetic moment (μB/f.u.): 4.00
Formation energy from the elements (meV/atom): -2512
E_tot (eV/cell): -149.00
Space-group type: P1
Energy above the most stable polymorph in this dataset (eV per formula unit): 0.00

Lattice parameters (Å, degrees): 5.035 5.133 9.845 84.58 78.90 60.95
Fractional coordinates of all 23 atoms:
Li: 0.000 0.000 0.000
Li: 0.065 0.336 0.754
Li: 0.225 0.025 0.253
Li: 0.431 0.657 0.742
Li: 0.605 0.321 0.246
Li: 0.747 0.022 0.749
Li: 0.924 0.663 0.249
V: 0.141 0.666 0.504
V: 0.336 0.327 0.000
V: 0.494 0.034 0.507
V: 0.659 0.681 0.001
O: 0.023 0.648 0.889
O: 0.180 0.951 0.604
O: 0.242 0.354 0.386
O: 0.329 0.646 0.112
O: 0.389 0.003 0.888
O: 0.417 0.339 0.620
O: 0.604 0.005 0.114
O: 0.672 0.354 0.884
O: 0.787 0.715 0.621
O: 0.862 0.965 0.383
O: 0.973 0.354 0.117
F: 0.514 0.704 0.369

* * * * *

Density functional theory data (PBE-GGA) for crystalline HfGeRh at its relaxed geometry. Values from VASP.

Quantum ESPRESSO input file:
```
&SYSTEM
  ibrav = 0, nat = 12, ntyp = 3
/
ATOMIC_SPECIES
Hf 178.49 Hf.upf
Ge 72.64 Ge.upf
Rh 102.91 Rh.upf
CELL_PARAMETERS angstrom
4.0102 0.0000 0.0000
0.0000 6.5522 0.0000
0.0000 0.0000 7.5892
ATOMIC_POSITIONS crystal
Hf 0.2500 0.0217 0.3134
Hf 0.2500 0.5217 0.1866
Hf 0.7500 0.9783 0.6866
Hf 0.7500 0.4783 0.8134
Ge 0.2500 0.2678 0.6188
Ge 0.2500 0.7678 0.8812
Ge 0.7500 0.7322 0.3812
Ge 0.7500 0.2322 0.1188
Rh 0.2500 0.1517 0.9357
Rh 0.2500 0.6517 0.5643
Rh 0.7500 0.8483 0.0643
Rh 0.7500 0.3483 0.4357
```

Properties
The volume comes out at 16.618 A^3/atom. As for the energy of formation from the pure elements: -0.88 eV per atom. Its crystal system is orthorhombic. Its space-group type is Pnma, No. 62. Its total energy is -8.1946 eV/atom.

* * * * *

(1)
A relaxed structure of DyInCu, computed with PBE.

a = 3.9091 Å, b = 7.4985 Å, c = 7.4985 Å
α = 120.00°, β = 90.00°, γ = 90.00°
Positions (direct):
Dy: 0.5000 0.0000 0.5895
Dy: 0.5000 0.5895 0.0000
Dy: 0.5000 0.4105 0.4105
In: 0.0000 0.0000 0.2533
In: 0.0000 0.2533 0.0000
In: 0.0000 0.7467 0.7467
Cu: 0.5000 0.0000 0.0000
Cu: 0.0000 0.3333 0.6667
Cu: 0.0000 0.6667 0.3333

Properties
E in eV per cell: -38.1
DFT formation energy in eV per atom: -0.414
Space-group type: No. 189

=====

(2)
A relaxed structure of Rb2ThF6, computed with PBE.

a = 6.9621 Å, b = 6.9621 Å, c = 3.8778 Å
α = 90.00°, β = 90.00°, γ = 120.00°
Positions (direct):
Rb: 0.3333 0.6667 0.5000
Rb: 0.6667 0.3333 0.5000
Th: 0.0000 0.0000 0.0000
F: 0.0000 0.2188 0.5000
F: 0.7812 0.7812 0.5000
F: 0.2188 0.0000 0.5000
F: 0.6698 0.0000 0.0000
F: 0.3302 0.3302 0.0000
F: 0.0000 0.6698 0.0000

Properties
Maximum piezoelectric response in C/m2: 0.3
E in eV per cell: -53.0
DFT formation energy in eV per atom: -3.880
Space-group type: No. 189

=====

(3)
A relaxed structure of Bi12PbO20, computed with PBE.

a = 9.0325 Å, b = 9.0325 Å, c = 9.0325 Å
α = 109.47°, β = 109.47°, γ = 109.47°
Positions (direct):
Bi: 0.8354 0.3333 0.1412
Bi: 0.8079 0.6667 0.5021
Bi: 0.1921 0.6942 0.8588
Bi: 0.5021 0.8079 0.6667
Bi: 0.8588 0.1921 0.6942
Bi: 0.6667 0.5021 0.8079
Bi: 0.3333 0.1412 0.8354
Bi: 0.6942 0.8588 0.1921
Bi: 0.3058 0.4979 0.1646
Bi: 0.1412 0.8354 0.3333
Bi: 0.1646 0.3058 0.4979
Bi: 0.4979 0.1646 0.3058
Pb: 0.0000 0.0000 0.0000
O: 0.3786 0.2642 0.6234
O: 0.3592 0.7358 0.1145
O: 0.0000 0.0000 0.7664
O: 0.7664 0.0000 0.0000
O: 0.7553 0.3766 0.6408
O: 0.6234 0.3786 0.2642
O: 0.3766 0.6408 0.7553
O: 0.6214 0.2447 0.8855
O: 0.3649 0.0000 0.0000
O: 0.1145 0.3592 0.7358
O: 0.8855 0.6214 0.2447
O: 0.2642 0.6234 0.3786
O: 0.0000 0.3649 0.0000
O: 0.0000 0.7664 0.0000
O: 0.2447 0.8855 0.6214
O: 0.2336 0.2336 0.2336
O: 0.0000 0.0000 0.3649
O: 0.6351 0.6351 0.6351
O: 0.6408 0.7553 0.3766
O: 0.7358 0.1145 0.3592

Properties
E in eV per cell: -188.2
DFT formation energy in eV per atom: -1.595
Space-group type: No. 197

=====

(4)
A relaxed structure of Sn3P4O14, computed with PBE.